Objective. Antineutrophil cytoplasmic antibody (ANCA)-associated vasculitis (AAV) is a group of linked multisystem life- and organ-threatening diseases. The Outcome Measures in Rheumatology (OMERACT) vasculitis working group has been at the forefront of outcome development in the field and has achieved OMERACT endorsement of a core set of outcomes for AAV. Patients with AAV report as important some manifestations of disease not routinely collected through physician-completed outcome tools; and they rate common manifestations differently from investigators. The core set includes the domain of patient-reported outcomes (PRO). However, PRO currently used in clinical trials of AAV do not fully characterize patients’ perspectives on their burden of disease. The OMERACT vasculitis working group is addressing the unmet needs for PRO in AAV.
Methods. Current activities of the working group include (1) evaluating the feasibility and construct validity of instruments within the PROMIS (Patient-Reported Outcome Measurement Information System) to record components of the disease experience among patients with AAV; (2) creating a disease-specific PRO measure for AAV; and (3) applying The International Classification of Functioning, Disability and Health to examine the scope of outcome measures used in AAV.
Results. The working group has developed a comprehensive research strategy, organized an investigative team, included patient research partners, obtained peer-reviewed funding, and is using a considerable research infrastructure to complete these interrelated projects to develop evidence-based validated outcome instruments that meet the OMERACT filter of truth, discrimination, and feasibility.
Conclusion. The OMERACT vasculitis working group is on schedule to achieve its goals of developing validated PRO for use in clinical trials of AAV.
Antineutrophil cytoplasmic antibody (ANCA)-associated vasculitis (AAV) is a group of linked diseases that includes granulomatosis with polyangiitis (Wegener’s), eosinophilic granulomatosis with polyangiitis (Churg-Strauss), and microscopic polyangiitis. These are multisystem life- and organ-threatening diseases that result in substantial morbidity, both from the disease itself and its treatment1. The course of AAV has changed over the past 40 years from a usually acute disease with high short-term mortality to a now usually chronic, relapsing disease marked by alternating periods of active vasculitis and periods of full remission. Treatments characterized by the chronic use of glucocorticoids and immunosuppressive medications complicate the disease course and patient experiences with AAV.
The OMERACT vasculitis working group has been at the forefront of outcome development in the field and includes major international leaders in outcomes research and trial design in vasculitis. The development and subsequent endorsement at OMERACT of the core set of outcomes for AAV was a substantial achievement for the group2. The core set includes the domain of patient-reported outcomes (PRO) with the aim of recording patients’ perspectives on their disease in clinical trials.
The OMERACT vasculitis working group and others have explored the patient perspective in AAV and demonstrated, not surprisingly, that patients report as important, manifestations of disease that are not routinely collected through physician-completed outcome tools; and they rate common manifestations differently from investigators3,4,5. Fatigue, musculoskeletal symptoms, and effect of disease on daily life and function are all of great concern to patients but are rated lower or are not measured at all by traditional outcome tools in vasculitis. The general health-related quality of life (HRQOL) measure, the Medical Outcomes Study Short Form-36 survey (SF-36), is used regularly in clinical AAV research, and is currently included in the AAV core set of measures6. The SF-36, along with other generic measures, has documented significant multidimensional impairments in HRQOL in patients with AAV7,8,9,10,11. While the SF-36 identifies some aspects of AAV, generic PRO are not specific enough to measure the complexity and change of experiences in patients with multisystem diseases such as AAV.
Members of the OMERACT vasculitis working group formed the Vasculitis Clinical Research Consortium–Patient-Centered Outcomes Research Institute Steering Committee (VCRC-PCORI) to oversee coordinated international efforts to address the need for more comprehensive and disease-specific PRO. The group has developed a comprehensive research strategy, organized an investigative team, included patient research partners (PRP; Table 1), obtained peer-reviewed funding for these projects, and is using a considerable research infrastructure to complete a series of interrelated projects aimed at developing evidence-based validated outcome instruments that meet the OMERACT filter of truth, discrimination, and feasibility12,13.
Patient involvement in the OMERACT Vasculitis working group/VCRC-PCORI steering committee, and research projects.
Three interrelated projects currently designed to address the unmet needs for PRO in vasculitis include (1) evaluation of the feasibility and construct validity of instruments within the Patient-Reported Outcome Measurement Information System (PROMIS) to record components of the disease experience among patients with AAV; (2) creation of a disease-specific PRO measure for AAV; and (3) application of the International Classification of Functioning, Disability and Health (ICF) to examine the scope of outcome measures used for assessment of patients with AAV and to identify areas of disease in need of further study and instrument development.
Generic PRO Measures in AAV
The OMERACT vasculitis working group is conducting a validation study of selected instruments within the PROMIS for use in AAV. PROMIS is an evolving set of generic item banks intended to cover all aspects of self-reported health14. The underlying statistical framework for PROMIS is item response theory that allows computer-adaptive testing (CAT) to be conducted. CAT presents study participants with a series of questions where the choice of progressive questions varies in number and is guided by algorithms driven by the participant’s response to the previous question. CAT increases the precision of the instrument and minimizes floor and ceiling effects. CAT allows incorporation of items operating at the extremes of the domain; such items are often excluded from paper instruments. PROMIS item banks include several versions of paper short forms with fixed numbers of questions derived from extensive data on the use of the item banks. The short forms are both well validated and more precise than many similar-length “generic” health status questionnaires.
With the PROMIS vasculitis project, the VCRC-PCORI steering committee hypothesizes that the developed outcome measures will have excellent statistical properties and high discriminatory power to detect differences between therapeutic agents. High precision and minimal floor and ceiling effects with CAT would maximize information contributed from each enrolled participant. Such improved trial efficiency is especially valuable when conducting trials with small sample sizes or short followup times and can also provide more statistical power to analyze a drug’s efficacy in selected clinical subgroups. Although these are important considerations for the study of any disease, they are especially crucial for research in rare diseases such as the vasculitides. Other features that affected the group’s decision to explore the utility of PROMIS include its comprehensiveness with respect to content and design that facilitates easy translation to other languages, and that PROMIS is free of charge for all uses.
The OMERACT vasculitis working group PROMIS project is well under way, with the research protocol, including choice of specific instruments for study, decided upon by the steering committee composed of clinical investigators, qualitative researchers, and PRP.
/*
(1)
The following is a quantum chemistry calculation of a structure of composition C29H30BrCl45FIO2 in a non-equilibrium geometry, from OMol25.

The geometry in XYZ format:
```
109
Properties=species:S:1:pos:R:3
C 4.987 2.693 0.327
C 3.890 3.687 0.014
C 2.587 3.294 -0.958
C 1.549 4.343 -1.311
I 1.614 6.431 -0.603
C 0.336 3.811 -2.329
O -0.108 4.614 -3.301
C -0.208 2.249 -2.079
C -1.805 1.942 -2.269
F -2.618 3.108 -2.695
C -2.552 1.267 -0.977
C -2.112 1.872 0.481
C 0.841 1.223 -1.717
C 0.430 -0.338 -1.429
Br 0.578 -0.631 0.578
C 1.495 -1.441 -2.093
C 0.953 -2.924 -1.582
C 2.415 1.766 -1.604
O 3.484 1.087 -2.025
H 4.786 1.739 0.986
H 6.031 2.933 -0.198
H 3.940 4.754 0.505
H -1.888 1.144 -3.154
H -2.500 0.076 -0.994
H -3.714 1.513 -1.100
H -1.847 0.967 1.213
H -3.073 2.386 0.968
H -1.288 2.703 0.453
H -0.623 -0.619 -1.860
H 2.581 -1.328 -1.623
H 1.489 -1.310 -3.257
H -0.196 -2.815 -1.291
H 1.104 -3.765 -2.398
H 1.514 -3.219 -0.573
C -0.025 -5.803 1.255
Cl -0.171 -4.788 2.700
Cl -1.305 -5.417 0.092
Cl 1.571 -5.603 0.512
H -0.137 -6.848 1.555
C -3.569 -7.329 2.426
Cl -3.988 -6.360 3.850
Cl -2.343 -8.540 2.837
Cl -5.014 -8.107 1.757
H -3.154 -6.662 1.666
C 7.490 2.901 3.508
Cl 7.288 4.277 4.606
Cl 7.449 1.375 4.408
Cl 6.239 2.917 2.254
H 8.466 2.988 3.023
C -5.326 -2.626 2.598
Cl -5.177 -2.393 4.348
Cl -4.799 -1.173 1.731
Cl -4.389 -4.036 2.076
H -6.378 -2.805 2.362
C 5.312 8.699 -0.629
Cl 5.392 7.047 0.006
Cl 6.318 9.788 0.341
Cl 5.814 8.738 -2.328
H 4.276 9.042 -0.568
C 1.287 1.864 3.722
Cl 1.652 0.187 4.166
Cl 1.696 2.161 2.024
Cl -0.420 2.230 4.025
H 1.897 2.525 4.344
C -2.490 -2.056 -3.935
Cl -2.342 -1.823 -2.184
Cl -1.963 -0.603 -4.802
Cl -1.553 -3.466 -4.457
H -3.542 -2.235 -4.171
C 3.411 -4.032 4.147
Cl 1.931 -3.079 4.346
Cl 3.290 -5.562 5.033
Cl 3.733 -4.331 2.431
H 4.247 -3.461 4.560
C 7.277 8.118 5.052
Cl 6.050 8.538 6.260
Cl 8.480 7.016 5.743
Cl 6.520 7.395 3.622
H 7.786 9.036 4.745
C -5.490 -1.804 -7.055
Cl -5.342 -1.571 -5.304
Cl -4.963 -0.351 -7.922
Cl -4.553 -3.214 -7.577
H -6.542 -1.983 -7.290
C -8.052 -6.462 -0.059
Cl -7.973 -8.114 0.577
Cl -7.046 -5.373 0.912
Cl -7.550 -6.424 -1.757
H -9.088 -6.119 0.002
C -6.069 -4.960 7.462
Cl -5.336 -5.052 9.073
Cl -4.849 -4.540 6.247
Cl -6.857 -6.492 7.049
H -6.828 -4.174 7.473
C -2.023 1.390 -10.055
Cl -1.659 -0.286 -9.612
Cl -1.615 1.687 -11.754
Cl -3.730 1.757 -9.753
H -1.414 2.051 -9.434
C -5.593 5.052 -2.505
Cl -5.795 4.477 -0.842
Cl -6.982 4.582 -3.500
Cl -5.374 6.810 -2.534
H -4.696 4.587 -2.924
C 9.398 -1.265 1.506
Cl 10.105 -1.822 3.033
Cl 8.259 -2.467 0.874
Cl 8.594 0.298 1.726
H 10.204 -1.139 0.779
```

Properties
largest force on an atom	8.35	eV/A
HOMO-LUMO gap	5.9	eV


(2)
The following is a quantum chemistry calculation of the ion C3H9N4 with charge +1 in a non-equilibrium geometry, from OMol25.

The geometry in XYZ format:
```
16
Properties=species:S:1:pos:R:3
N -0.834 -1.104 0.888
N -0.426 -0.171 -0.084
C -0.753 1.216 -0.107
C 0.516 1.813 -0.788
N 1.577 0.832 -0.551
*/
As of OMERACT 12 (2014), 10 selected CAT-based PROMIS instruments had been administered to about 300 study participants within the VCRC longitudinal study of AAV (as well as 4 other forms of vasculitis). A preliminary analysis is under way and will be directed toward determining construct validity and assessing performance of PROMIS instruments longitudinally by exploring sensitivity to change and defining values for minimal clinically important changes. Four short-form PROMIS instruments are also being collected among participants in 2 randomized controlled trials (RCT) to help determine the feasibility of PROMIS in a clinical trial setting and provide data on how PROMIS discriminates between treatment arms12,13.
Feedback on the PROMIS project was solicited and obtained from participants at OMERACT 12. Although it was considered unlikely that data from PROMIS instruments could serve as a primary outcome measure in RCT in vasculitis, such data could be highly supportive of a labeling claim of novel therapeutic agents12. In addition, PROMIS instruments could contribute to a composite primary outcome measure or serve as informative secondary outcome measures in RCT in vasculitis. The optimal use of PROMIS in vasculitis remains to be defined and will be dependent on the strength of the data, and acceptance by patients and investigators.
Creation of a Disease-specific PRO for AAV
The vasculitis workshop at OMERACT 11 (2012) highlighted the lack of a disease-specific PRO for patients with AAV6. It was decided that a collaborative approach to developing candidate questionnaire items, involving patients from the United Kingdom, United States, and Canada, was feasible and desirable because of the relative rarity of the disease and the ability to create a tool with content validity and cultural/linguistic equivalence appropriate for use in all 3 countries. The development of a new PRO involves 3 stages: (1) questionnaire item development; (2) item reduction and scale generation; and (3) testing of scale properties, including reliability, validity, and responsiveness. It is important that a PRO be developed using methodologies that comply with the US Food and Drug Administration recommendations to support the instrument’s use in clinical trials and in supporting labeling claims for new medications12.
A multinational collaboration of researchers and PRP conducted the first stage of questionnaire item development. Exploratory semistructured patient interviews were performed in Oxford, UK, Philadelphia, USA, and Ottawa, Canada, with the aim of identifying salient dimensions of quality of life and perceived problems of health status related to having AAV. The overall sample size was determined by the point at which no new themes emerged from interviews (saturation), and was also guided by a purposive sampling framework to ensure that the broadest range of experiences possible was recorded, consistent with disease variability. Researchers within and across research groups independently reviewed de-identified interview transcripts for relevant themes including symptoms related to condition or treatment, and the ways in which symptoms influenced people’s ability to work, activities of daily living, engagement in social activities, and their state of mind. Themes identified from transcripts were then recast as candidate questionnaire items, which were reviewed and amended by our PRP on the steering committee. Drafted items were further refined using feedback from PRP related to item presentation, construction, and response categories. Additional steps in assessing the adequacy of scope and item prioritization will include reviewing results from freelisting and pilesorting activities of participant responses. The last step in item refinement will include piloting the candidate questionnaire items using cognitive interviews, a formal linguistic assessment of item readability and translatability, then surveying several hundred patients, in collaboration with the patient group Vasculitis UK and the VCRC in the United States, to produce the reduced final form of the instrument with appropriate scale structure, measurement properties, and scoring algorithms fully specified. This will be followed by a multicenter prospective validation study to permit assessment of responsiveness and minimal important change.
At OMERACT 12 a breakout group cohosted by a PRP and a researcher, each on the VCRC-PCORI Steering Committee, solicited feedback on the work completed and the next steps. The group voted unanimously that contextual factors, such as access to healthcare or information about the condition, were important and should be measured, but not within the PRO currently being developed and designed primarily for use in RCT. Also discussed was the form that any stated attribution should take within the questionnaire, i.e., “due to your vasculitis” versus “due to your vasculitis or its treatment.” The group agreed that treatment effects should be considered because of the challenges for patients and clinicians in differentiating the effects of disease versus external factors such as toxicities or comorbidities. The breakout group advised that the issues of attribution should be further explored at the cognitive interviewing stage. The breakout group considered the proposed survey for item reduction and scale generation, which would include data from patients in the United Kingdom completing paper questionnaires and patients in the United States completing online surveys. There was unanimous support for combining the data, but it was suggested that subsets of patients in each population should complete the questionnaire using the alternative method to evaluate the equivalence of these approaches. The group plans to build on the feedback received from this breakout group in planning the next stage of validation, designing the larger scale survey, and in providing prompts and cues for the in-depth cognitive interviews of the evolving PRO.
Application of the IFC to AAV
The ICF is a system championed by the World Health Organization as a general health status framework that views health as being the result of a complex interaction among the ICF components of “body functions,” “body structures,” “activities and participation,” and “contextual factors” (personal and environmental)15. An ICF core set is a set of ICF categories (the basic units of ICF classification) that are considered essential to measure in clinical trials for a specific medical condition. The process by which ICF core sets are identified is analogous to the OMERACT process of identifying core domains, including incorporating the existing body of knowledge and input from those involved, especially including patients16. The VCRC-PCORI steering committee initiative is exploring various applications of the ICF in the context of AAV17 with the final aim of developing the ICF core set for AAV.
A systematic review of literature was performed to identify outcome measures that have been used in clinical trials of AAV. The content represented by items in each instrument was extracted. A 3-round Delphi exercise to identify aspects of AAV most important to clinicians is in the final stage of completion. Finally, a series of individual semistructured interviews was performed in collaboration with the other 2 projects to identify aspects of AAV most relevant to patients. Linking the identified outcomes to the ICF classification, according to previously published linking rules18,19, was performed to allow for comparison of aspects of AAV measured in clinical trials to those found to be important to patients and clinicians.
Presenting this work at OMERACT 12 generated productive discussions regarding the methods and future directions of the project. Ongoing input from PRP at all stages of development of ICF core sets for AAV was strongly encouraged, including patient participation at a final consensus meeting where all of the collected data would be combined and the final ICF core set would be identified. In addition, significant attention was devoted to discussing the role of the ICF in the OMERACT process. A number of novel applications of the ICF to the field of vasculitis were proposed for future consideration, most notable of which was incorporation of ICF with PROMIS to generate ICF-based instruments using PROMIS technology and elements.
The ICF is proving to be a useful complement to other processes for the development of AAV PRO outcomes. The development of the ICF core sets for AAV directly involves patients (among other key participants), and the overall process is consistent with the recent OMERACT Filter 2.0 approach17. The ICF core set for AAV could identify important domains not addressed by the current OMERACT core set for AAV that might be appropriate targets for development of new outcome measurement tools and provide input for a future update of the OMERACT core set.
Integration of the 3 Linked Projects
The 3 projects outlined above are highly integrated with one another and benefit substantially from shared resources, common investigators, discussion of overlapping concepts, and development of interoperable procedures and products. The VCRC-PCORI steering committee oversees all 3 projects, and the shared expertise, group memory, and familiarity greatly enhance the work on each individual project. Importantly, there is input of the PRP across all 3 projects (Table 1). Qualitative interviews inform all the projects, and the group is already considering how to combine and link PROMIS with a disease-specific PRO, with understanding emerging from the ICF mapping.
There is now a clear mandate from, and enthusiasm within, the vasculitis research community to embrace PRO as an important source of information that contributes to our understanding of the effect of the disease on our patients. Patient involvement is key to the success of these projects and is seen at every level, as shown in Table 1, including membership on the overarching steering committee, input into research protocols, and individual participation in semistructured interviews and online PROMIS data collection. The continued constructive feedback provided by the OMERACT community, including at the 2014 Workshop, in terms of both the overall approach to PRO in vasculitis and specific technical questions, is invaluable to the process of development of appropriate tools in this disease.
Sponsored by the Vasculitis Clinical Research Consortium, with support from the US National Institute of Arthritis and Musculoskeletal and Skin Diseases (U54 AR057319 and U01 AR51874), the National Center for Research Resources (U54 RR019497); and the Office of Rare Diseases Research and the National Center for Advancing Translational Science. Additional support for the work of the OMERACT vasculitis working group was received by a Patient-Centered Outcomes Research Institute Pilot Project Grant, the Medical Research Fund, Oxford, and the Oxfordshire Health Services Research Committee. Dr. Robson and Professor Luqmani are supported in part by the National Institute for Health Research Musculoskeletal Biomedical Research Unit, Oxford, UK. Dr. Milman was supported by a UCB/Canadian Rheumatology Association/Arthritis Society postgraduate rheumatology fellowship award and a research fellowship from the Department of Medicine at the Ottawa Hospital.